Small Habits That Can Improve the Health of Your Loved Ones in Nursing Homes

Small Habits That Can Improve the Health of Your Loved Ones in Nursing Homes

You want the best for your loved ones, especially if they’re residing in nursing homes. Living in a nursing home can present various challenges, including adjusting to a new environment, managing health conditions, and maintaining social connections.

-- Inserted here: data records --
____________
[1]
{"formula": "CaGaPd", "functional": "GGA-PBE", "state": "optimized geometry", "lattice_angstrom": [[3.0503, 0.0000, 0.0000], [0.0000, 3.0503, 0.0000], [-1.5251, -1.5251, 7.3122]], "species": ["Ca", "Ga", "Pd"], "fractional_positions": [[0.1274, 0.1274, 0.2548], [0.7787, 0.7787, 0.5574], [0.9439, 0.9439, 0.8877]], "crystal_system": "tetragonal", "space_group": "I4mm, No. 107"}

[2]
{"formula": "CaGa4Pd6", "functional": "GGA-PBE", "state": "optimized geometry", "lattice_angstrom": [[-3.3186, 0.7390, 1.9189], [-1.4303, -7.2413, 0.3153], [3.8492, 3.2439, 5.4076]], "species": ["Ca", "Ga", "Ga", "Ga", "Ga", "Pd", "Pd", "Pd", "Pd", "Pd", "Pd"], "fractional_positions": [[0.0000, 0.0000, 0.0000], [0.5000, 0.8006, 0.6012], [0.5000, 0.3988, 0.1994], [0.5000, 0.8006, 0.1994], [0.0000, 0.3333, 0.6667], [0.0000, 0.5332, 0.0663], [0.5000, 0.6031, 0.8015], [0.0000, 0.5332, 0.4668], [0.0000, 0.9337, 0.4668], [0.5000, 0.1985, 0.8015], [0.5000, 0.1985, 0.3969]], "de_polymorph_kj_per_mol_atoms": 0.0, "crystal_system": "hexagonal", "space_group": "P-6m2, No. 187"}

[3]
{"formula": "Ca2GaPd", "functional": "GGA-PBE", "state": "optimized geometry", "lattice_angstrom": [[4.4102, 0.0000, 0.0000], [2.2051, 3.8168, 0.0255], [2.2051, 1.2433, 6.9180]], "species": ["Ca", "Ca", "Ga", "Pd"], "fractional_positions": [[0.8900, 0.6538, 0.5663], [0.7154, 0.4775, 0.0916], [0.4699, 0.2329, 0.8272], [0.1350, 0.8978, 0.8323]], "crystal_system": "monoclinic", "space_group": "Cm, No. 8"}

[4]
{"formula": "Ca3Ga7Pd2", "functional": "GGA-PBE", "state": "optimized geometry", "lattice_angstrom": [[4.2900, 0.0000, 0.0000], [0.0000, 4.5572, -0.6769], [0.0000, -0.2368, 14.0909]], "species": ["Ca", "Ca", "Ca", "Ga", "Ga", "Ga", "Ga", "Ga", "Ga", "Ga", "Pd", "Pd"], "fractional_positions": [[0.5000, 0.5000, 0.0000], [0.5000, 0.7046, 0.4091], [0.5000, 0.2954, 0.5909], [0.0000, 0.3791, 0.7581], [0.0000, 0.8084, 0.6167], [0.0000, 0.0000, 0.0000], [0.0000, 0.6209, 0.2419], [0.5000, 0.1283, 0.2566], [0.5000, 0.8717, 0.7434], [0.0000, 0.1916, 0.3833], [0.0000, 0.9162, 0.8323], [0.0000, 0.0838, 0.1677]], "de_polymorph_kj_per_mol_atoms": 24.1, "crystal_system": "orthorhombic", "space_group": "Cmmm, No. 65"}

[5]
____________
-- Back to the article --

However, by incorporating specific habits into your routine when visiting your loved ones, you can support their overall health and happiness. These habits may seem small, but their impact can be profound, enhancing both physical and emotional well-being.

Adopting the right habits to ensure residents’ health is more crucial given the rise in the number of deficiencies in nursing home centers. There was a rise in the average number of deficiencies between 2015 and 2023, increasing from 6.8 to 8.9, marking a 31% increase

Moreover, the proportion of facilities indicating a severe deficiency climbed from 17% to 26%. The findings, extracted from a study by KFF, highlight the urgency for families to be vigilant.  This post will explore how simple practices can make a big difference in the quality of life for your loved ones in nursing homes.

Health Coach:

A health coach is a trained professional who assists individuals in achieving their health and wellness goals by providing personalized guidance, support, and accountability. Health coaches work with clients to develop holistic wellness plans that encompass various aspects of health, including nutrition, exercise, stress management, sleep, and lifestyle habits. They help clients identify their health priorities, set achievable goals, and implement sustainable behavior changes. Health coaching sessions may involve nutrition education, meal planning, fitness coaching, mindfulness practices, and ongoing monitoring to empower clients to take control of their health and well-being.

Engage in Meaningful Conversations to Boost Mental Well-Being

Engaging in meaningful conversations provides your loved ones with emotional support and stimulates cognitive functions. Encourage open communication to express their thoughts, feelings, and concerns freely.

Engaging in meaningful conversations also helps alleviate feelings of loneliness and isolation. This promotes a positive atmosphere and strengthens your relationship with them. Discussing topics of interest or reminiscing about fond memories can bring joy and laughter to their day. 

Providing mental health support is necessary in states like Missouri, which boasts a large number of nursing home facilities. According to the U.S. News & World Report, the state is home to 510 nursing homes, among which 21 received an overall rating of 5/5. However, the positive ratings don’t mean that residents of these facilities are immune to abuse or neglect.

Data records that have nothing to do with the text:
-- begin --
DFT (PBE) results for crystalline SrCdFeN2 at its relaxed geometry.

abc: 4.3167 5.9283 4.3167
angles: 90.00 90.00 90.00
With the nearest neighbours (Å) after each atom.
Fractional coordinates of all 5 atoms:
Sr: 0.0000 0.5000 0.0000  2 Cd 2.96, 4 Fe 3.05
N: 0.0000 0.0000 0.5000  2 Cd 2.16
N: 0.5000 0.0000 0.0000  2 Cd 2.16
Fe: 0.5000 0.5000 0.5000  4 Sr 3.05
Cd: 0.0000 0.0000 0.0000  4 N 2.16

## Properties
Formation energy (no corrections), eV per atom: 2.22
Total DFT energy (no corrections), eV per cell: -16.59



DFT (PBE) results for crystalline EuBiPt at its relaxed geometry.

abc: 4.0333 4.0333 5.5736
angles: 111.21 111.21 90.00
With the nearest neighbours (Å) after each atom.
Fractional coordinates of all 3 atoms:
Eu: 0.9337 0.9337 0.8675  5 Bi 3.09-3.32, 4 Pt 3.11
Bi: 0.6115 0.6115 0.2229  1 Pt 2.94, 1 Eu 3.09
Pt: 0.3048 0.3048 0.6096  1 Bi 2.94, 4 Eu 3.11

## Properties
Energy of formation, eV per atom: -0.467
Total DFT energy (no corrections), eV per cell: -21.60


#i
Below is a geometry-optimized LiHfAg structure, with properties calculated at the GGA-PBE level.

Values from the calculation:
ρ in g/cm³: 7.629
Symmetry: F-43m (216)
Crystal system: cubic
V in A^3/atom: 21.28
Magnetic moment in μB per formula unit: 0.888

POSCAR file:
```
LiHfAg
1.0
6.344 0.000 0.000
0.000 6.344 0.000
0.000 0.000 6.344
Li Hf Ag
4 4 4
direct
0.000 0.000 0.000
0.000 0.500 0.500
0.500 0.000 0.500
0.500 0.500 0.000
0.000 0.000 0.500
0.000 0.500 0.000
0.500 0.000 0.000
0.500 0.500 0.500
0.250 0.250 0.750
0.250 0.750 0.250
0.750 0.250 0.250
0.750 0.750 0.750
```

#ii
Below is a geometry-optimized LiHfAg structure, with properties calculated at the GGA-PBE level.

Values from the calculation:
ρ in g/cm³: 7.519
Symmetry: F-43m (216)
Crystal system: cubic
V in A^3/atom: 21.59
Magnetic moment in μB per formula unit: 0.002

POSCAR file:
```
LiHfAg
1.0
6.375 0.000 0.000
0.000 6.375 0.000
0.000 0.000 6.375
Li Hf Ag
4 4 4
direct
0.000 0.000 0.000
0.000 0.500 0.500
0.500 0.000 0.500
0.500 0.500 0.000
0.250 0.250 0.750
0.250 0.750 0.250
0.750 0.250 0.250
0.750 0.750 0.750
0.000 0.000 0.500
0.000 0.500 0.000
0.500 0.000 0.000
0.500 0.500 0.500
```

Relative energy of each structure, in kJ/mol of atoms: #i 0.0; #ii 28.1.

#i
Below is a geometry-optimized LiHfAg3S4 structure, with properties calculated at the GGA-PBE level.

Values from the calculation:
ρ in g/cm³: 4.859
Symmetry: P-43m (215)
Crystal system: cubic
V in A^3/atom: 24.20
Magnetic moment in μB per formula unit: 0.001

POSCAR file:
```
LiHfAg3S4
1.0
6.017 0.000 0.000
0.000 6.017 0.000
0.000 0.000 6.017
Li Hf Ag S
1 1 3 4
direct
0.000 0.000 0.000
0.500 0.500 0.500
0.000 0.500 0.500
0.500 0.000 0.500
0.500 0.500 0.000
0.265 0.265 0.265
0.265 0.735 0.735
0.735 0.265 0.735
0.735 0.735 0.265
```

#ii
Below is a geometry-optimized LiHfAg3S4 structure, with properties calculated at the GGA-PBE level.

Values from the calculation:
ρ in g/cm³: 4.943
Symmetry: P2_1/m (11)
Crystal system: monoclinic
V in A^3/atom: 23.79
-- stop --
So much for the data records:

Recently, nearly 25% of nursing homes in the state were found not to have undergone a routine inspection in two or more years. Out of the 510 facilities in the state, 126 have not seen any inspection in at least two years, according to the U.S. Centers for Medicare and Medicaid in July 2023.

A similar trend is evident in St. Louis, a major city in Missouri. Recently, a nursing home in St. Louis was suddenly closed due to insufficient funding, leaving hundreds of residents more vulnerable. The mental trauma of such cases falls under the domain of personal injury, according to TorHoerman Law.

If your loved ones have experienced such brutality, then the time is ripe to contact Missouri or St. Louis personal injury lawyers. These lawyers are knowledgeable about the state’s regulations, making them reliable companions to navigate the legal environment.


Grounding, also known as earthing, refers to the practice of connecting oneself to the Earth’s electrical field by walking barefoot outdoors or using grounding products. This concept is based on the belief that direct contact with the Earth’s surface can provide numerous health benefits, such as reducing inflammation, improving sleep, and promoting relaxation. Grounding products typically include mats, sheets, and bands that conduct the Earth’s energy to the body, allowing individuals to experience its purported therapeutic effects.

Encourage Physical Activity to Enhance Mobility and Strength

Encouraging physical activity among your loved ones in nursing homes is essential for enhancing mobility and strength. It promotes independence and reduces the risk of falls and injuries. Engaging in regular physical activity also improves circulation and overall cardiovascular health.

Along with mobility and strength, physical activity can also prove extremely beneficial for mental well-being. It triggers physiological responses in the body, such as promoting the synthesis of growth factors. These substances affect the development of new blood vessels in the brain and aid in the health and longevity of newly generated brain cells.

<<<
Computed, not measured: a geometry-optimized Cd3Te structure at the PBE-GGA level of DFT.

Results
Symmetry: Imm2
Total energy, eV per atom: -1.459
Density, g/cm³: 7.14
Energy above the lowest structure with this stoichiometry, eV/f.u.: 0.45
ΔE_f (raw), eV per atom: 0.01

Cell lengths 6.911, 6.911, 6.911 Å; angles 153.09, 133.32, 54.70 degrees
Fractional coordinates of all 4 atoms:
Cd: 0.835 0.001 0.834
Cd: 0.333 0.499 0.834
Cd: 0.083 0.250 0.833
Te: 0.583 0.750 0.833

----------

DFT (GGA+U) results for a relaxed VGaO3 crystal.

Unit cell a=3.1903 b=5.1621 c=7.4665 alpha=101.92 beta=90.00 gamma=90.00
With the nearest neighbours (Å) after each atom.
Fractional positions:
1 V 0.2500 0.7223 0.4161  6 O 2.06-2.12
2 V 0.7500 0.2777 0.5839  6 O 2.06-2.12
3 Ga 0.2500 0.8533 0.8438  4 O 1.86-2.00
4 Ga 0.7500 0.1467 0.1562  4 O 1.86-2.00
5 O 0.7500 0.9634 0.3579  1 Ga 1.94, 3 V 2.09-2.12
6 O 0.7500 0.4645 0.3624  1 Ga 2.00, 3 V 2.06-2.08
7 O 0.2500 0.0366 0.6421  1 Ga 1.94, 3 V 2.09-2.12
8 O 0.2500 0.5355 0.6376  1 Ga 2.00, 3 V 2.06-2.08
9 O 0.2500 0.2087 0.0447  2 Ga 1.86
10 O 0.7500 0.7913 0.9553  2 Ga 1.86

Values from the calculation:
**Crystal system**: monoclinic
**VASP energy**: -0.2552 hartree per atom

----------

Material: YAlCdFe
Method: DFT, GGA-PBE
State: relaxed

Output
M_tot, μB per atom: 0.562
Space-group type: F-43m, No. 216

Unit cell a=4.7653 b=4.7653 c=4.7653 alpha=60.00 beta=60.00 gamma=60.00
Atoms (fractional coordinates):
Fe1 0.7500 0.7500 0.7500
Al1 0.0000 0.0000 0.0000
Cd1 0.2500 0.2500 0.2500
Y1 0.5000 0.5000 0.5000

Material: Li2CuPt
Method: DFT, GGA-PBE
State: relaxed

Output
M_tot, μB per atom: 0.000
Space-group type: F-43m, No. 216

Unit cell a=4.2015 b=4.2015 c=4.2015 alpha=60.00 beta=60.00 gamma=60.00
Atoms (fractional coordinates):
Cu1 0.2500 0.2500 0.2500
Li1 0.7500 0.7500 0.7500
Li2 0.0000 0.0000 0.0000
Pt1 0.5000 0.5000 0.5000

Material: AgPbO3
Method: DFT, GGA-PBE
State: relaxed

Output
Space-group type: R-3, No. 148

Unit cell a=5.7083 b=5.7083 c=6.0058 alpha=61.63 beta=61.63 gamma=60.00
Atoms (fractional coordinates):
Ag1 0.3567 0.3567 0.9299
O1 0.2424 0.9546 0.2552
O2 0.7576 0.0454 0.7448
O3 0.4522 0.7576 0.7448
Pb1 0.8551 0.8551 0.4346
O4 0.5478 0.2424 0.2552
Pb2 0.1449 0.1449 0.5654
O5 0.0454 0.4522 0.7448
Ag2 0.6433 0.6433 0.0701
O6 0.9546 0.5478 0.2552

Material: LuTaNb
Method: DFT, GGA-PBE
State: relaxed

Output
M_tot, μB per atom: 0.001
Space-group type: F-43m, No. 216
Formation enthalpy at 0 K, meV per atom: 868

Unit cell a=4.6495 b=4.6495 c=4.6495 alpha=60.00 beta=60.00 gamma=60.00
Atoms (fractional coordinates):
Ta1 0.7500 0.7500 0.7500
Lu1 0.2500 0.2500 0.2500
Nb1 0.0000 0.0000 0.0000

Material: LuFeAgSn
Method: DFT, GGA-PBE
State: relaxed

Output
M_tot, μB per atom: 0.444
Space-group type: F-43m, No. 216

Unit cell a=4.7105 b=4.7105 c=4.7105 alpha=60.00 beta=60.00 gamma=60.00
Atoms (fractional coordinates):
Ag1 0.2500 0.2500 0.2500
Fe1 0.7500 0.7500 0.7500
Sn1 0.0000 0.0000 0.0000
>>>
The records of crystals stop here >

Numerous studies have indicated that individuals who engage in regular exercise demonstrate larger volumes in the brain regions responsible for cognitive functions and memory. This contrasts with individuals who live sedentary lives. Encouraging physical activity among your loved ones not only improves their physical health but also enhances their mental well-being.

Prioritize Medication Management and Follow-up Appointments

Make medication management and follow-up appointments a priority for your loved ones in nursing homes. Proper medication management reduces the risk of adverse drug reactions and complications.

Active involvement in scheduling and attending follow-up appointments with healthcare providers is crucial. It allows for ongoing assessment of your loved one’s health status and adjustment of treatment plans as needed.

By prioritizing medication management and follow-up appointments, you play a vital role in maintaining your loved one’s overall health and well-being. Your proactive approach ensures they receive the necessary medical care and support to thrive in their nursing home environment.

Regularly Visit to Monitor the Staff Behavior and Care Quality

Regularly visiting nursing homes allows you to closely observe staff behavior and care quality. You can interact with staff members and assess how they behave with residents. This active monitoring ensures your loved ones receive the care they deserve.

The need for frequent visits to monitor staff behavior is more critical than ever. Many residents hesitate to approach reliable individuals due to fear of retaliation from the nursing staff. These sentiments are echoed in a recent survey by the Long Term Care Community Coalition. The survey found that this fear acts as an obstacle in reporting, identifying, and investigating abuse.

By making frequent visits, you establish a presence and show that you are actively involved in your loved one’s care. This can deter any potential mistreatment or negligence from occurring. Your consistent presence also provides reassurance to your loved ones and fosters a sense of security.

During your visits, you can tackle any issues directly with the facility management. By advocating for your loved ones and addressing any shortcomings in care quality, you contribute to improving overall conditions in the nursing home.

Establish a Relaxing Environment for Quality Sleep and Rest

Create a relaxing environment in nursing homes to ensure your loved ones get quality sleep and rest. This involves minimizing noise and distractions, maintaining comfortable room temperatures, and ensuring proper lighting levels. Such an environment promotes relaxation and facilitates better sleep quality.

Encourage the use of relaxation techniques before bedtime. These practices can help alleviate stress and promote a sense of calmness. Additionally, providing comfortable bedding and pillows tailored to individual preferences enhances comfort and promotes restful sleep.

Regularly assess the sleeping environment and address any issues that may disrupt sleep patterns. By creating a relaxing environment conducive to quality sleep and rest, you contribute to the overall well-being of your loved ones in nursing homes. 

In conclusion, incorporating these habits can significantly enhance the health and well-being of your loved ones in nursing homes. From monitoring staff behavior to encouraging physical activity, every effort plays a vital role. By establishing a relaxing environment for quality sleep and rest and engaging in meaningful conversations, you contribute to their overall health. Even the smallest habits can make a big difference in improving the lives of those we care about in nursing homes.